Ground Speed
Ground Speed
The speed of an aircraft relative to the surface of the earth.
Source: ICAO Doc 9426
Relations to Other Speeds
Groundspeed and True Airspeed (TAS)
Groundspeed is a vector sum of True Airspeed (TAS) and wind velocity.
A graphical representation of TAS, wind velocity and ground speed
Groundspeed/TAS and IAS
If an aircraft maintains IAS, TAS (and therefore groundspeed) increases when an aircraft climbs. This is because air density decreases with altitude and consequently, higher speed is required to obtain the same dynamic pressure. As a result, if two aircraft are maintaining the same IAS and tracks at different levels and the wind is the same, the higher aircraft will fly faster in terms of groundspeed.
As a rule of thumb, TAS would change by 7 kt per 1000 ft, e.g. an aircraft that is flying 4000ft above would be about 30 kt faster in terms of TAS/groundspeed.
Additional factor here is that usually (but not always) windspeed also increases with altitude, generally reaching its highest at the tropopause. As a result, in case of tailwinds higher aircraft move significantly faster and in case of head winds it is possible that aircraft at different levels maintaining the same IAS would also fly at similar groundspeeds.
Groundspeed/TAS and Mach number
If an aircraft maintains Mach number, TAS (and therefore groundspeed) reduces when an aircraft climbs. This is because air density (and consequently, the speed of sound) decreases with altitude. Therefore, Mach number, being the same part of a now lower value, is reduced.
As a rule of thumb, if the two aricraft are flying at the same level, a difference in Mach number of 0.01 would result in 6 kt groundspeed difference if the wind is calm. If the aircraft are flying at different levels, a difference of 2000-3000 ft would result in 6 kt speed difference, the lower aircraft being faster.
Impact on ATC Operations
Groundspeed has two major uses in air traffic control:
- Estimate calculation. The moment when an aircraft reaches the Transfer of Control point depends on their ground speed. For example, a 140 nm distance would take an aircraft flying at 420 kt (no wind) 20 minutes. With 60 kt of headwind, however, the time would be increased to a little more than 23 minutes.
- Conflict management. The calculation that determines whether or not two aircraft will have enough separation at their CPA is based on the moment each of them reaches that point. Similarly to the above case, this moment depends on the groundspeed. The use of speed control and vectoring may be impacted by wind, in a positive (less effort to obtain the necessary outcome) as well as in a negative way (requiring larger deviation from the flight plan).
Ground speed and wind direction
The impact of wind speed on ground speed is obvious but wind direction is equally important. There are two situations to be considered:
- The wind direction changes (either with altitude or with the position)
- The wind direction remains the same but the aircraft heading changes. As a result, the crosswind and headwind/tailwind component also change, impacting the groundspeed.
In a crosswind scenario a relatively small heading change would result in a significant change of groundspeed (compared to the headwind or tailwind cases).
Speed control
When speed control is used to solve a conflict or to provide appropriate spacing between aircraft, the controller needs to assign indicated speeds or Mach numbers that would result in appropriate ground speeds. Ground speed cannot be used directly in ATC clearances because:
- The aircraft may easily leave the flight envelope in case the wind changes.
- Even if the aircraft is able to remain within the flight envelope, assigning a ground speed would mean that the crew would need to make frequent adjustments to the engine output power so that they can match the changes of wind speed and direction.
- Even if wind speed and direction remain the same, further adjustments will be necessary in case the aircraft makes a turn (either due to vectoring or because the flight plan reaches a turning point). And, with the new windspeed, the concerns with the flight envelope would rise again.
In addition, the controllers do not actually need aircraft to maintain particular ground speeds. Rather, they are interested in reaching and maintaining an appropriate difference between these (e.g. the aircraft that arrives first at the crossing point needs to be faster by at least 20 kt so that separation standards are maintained).
[Records of crystals, as found in the file]
<<<
Computed X-ray powder pattern
Compound: CoGeBi2P
Radiation: copper Kα
Structure: a cell relaxed with PBE

Atomic structure:
```
data_CoGeBi2P
_chemical_formula_sum 'Co1 Ge1 Bi2 P1'
_space_group_name_H-M_alt 'P 1'
_space_group_IT_number 1
_cell_length_a 5.414
_cell_length_b 5.414
_cell_length_c 4.027
_cell_angle_alpha 90.00
_cell_angle_beta 90.00
_cell_angle_gamma 90.00
loop_
_space_group_symop_operation_xyz
'x,y,z'
loop_
_atom_site_label
_atom_site_type_symbol
_atom_site_fract_x
_atom_site_fract_y
_atom_site_fract_z
Co1 Co 0.000 0.000 0.000
Ge1 Ge 0.500 0.500 0.500
Bi1 Bi 0.000 0.500 0.000
Bi2 Bi 0.500 0.000 0.000
P1 P 0.000 0.000 0.500
```

Most intense lines, 2θ from 5° to 70°, in order of rising 2θ:
| h k l | Position (°2θ) | d/Å | I_rel |
| --- | --- | --- | --- |
| 0 0 1 | 22.07 | 4.027 | 40.8 |
| 1 1 0 | 23.23 | 3.828 | 30.6 |
| 1 1 1 | 32.26 | 2.775 | 100.0 |
| 2 0 0 | 33.09 | 2.707 | 76.0 |
| 2 0 1 | 40.14 | 2.247 | 36.7 |
| 2 2 0 | 47.50 | 1.914 | 27.8 |
| 2 2 1 | 52.97 | 1.729 | 16.8 |
| 2 0 2 | 57.00 | 1.616 | 32.4 |
| 3 1 1 | 58.59 | 1.576 | 37.9 |
| 2 2 2 | 67.52 | 1.387 | 19.6 |

=====

Simulated powder diffractogram of LaEuDy2 for Cu Kα (λ = 1.5418 Å), from DFT lattice parameters and positions (GGA-PBE).
No peak broadening, texture or thermal motion is included.

Peak list (10 most intense, 2θ from 10° to 90°, low angle first)
Position (°2θ)  Rel. int.  (hkl)
29.89  100  1 1 1
34.65  51  2 0 0
49.81  36  2 2 0
59.19  43  3 1 1
62.10  13  2 2 2
73.07  4  4 0 0
73.19  2  0 0 4
80.94  18  3 3 1
83.47  11  4 2 0
83.57  6  2 0 4

Crystal structure
```
data_LaEuDy2
_cell_length_a 5.180
_cell_length_b 5.180
_cell_length_c 5.172
_cell_angle_alpha 90.00
_cell_angle_beta 90.00
_cell_angle_gamma 90.00
_symmetry_space_group_name_H-M 'P 4/m m m'
_symmetry_Int_Tables_number 123
_symmetry_space_group_name_Hall '-P 4 2'
loop_
_atom_site_label
_atom_site_type_symbol
_atom_site_fract_x
_atom_site_fract_y
_atom_site_fract_z
_atom_site_occupancy
La1 La 0.000 0.000 0.000 1
Eu1 Eu 0.500 0.500 0.000 1
Dy1 Dy 0.000 0.500 0.500 1
```


Simulated powder diffractogram of Al2TlZn for Cu Kα (λ = 1.5418 Å), from DFT lattice parameters and positions (GGA-PBE).
No peak broadening, texture or thermal motion is included.

Peak list (10 most intense, 2θ from 10° to 90°, low angle first)
Position (°2θ)  Rel. int.  (hkl)
15.59  24  0 0 1
21.22  48  2 0 0
23.42  16  2 0 -1
28.60  17  1 1 0
31.52  58  0 0 2
33.91  100  1 1 1
42.21  17  2 0 2
42.36  37  3 1 -1
43.21  17  4 0 0
54.55  24  0 2 0

Crystal structure
```
data_Al2TlZn
_cell_length_a 8.590
_cell_length_b 3.363
_cell_length_c 5.830
_cell_angle_alpha 90.00
_cell_angle_beta 102.85
_cell_angle_gamma 90.00
_symmetry_space_group_name_H-M 'C 1 2/m 1'
_symmetry_Int_Tables_number 12
loop_
_symmetry_equiv_pos_as_xyz
'x,y,z'
'-x,-y,-z'
'-x,y,-z'
'x,-y,z'
'x+1/2,y+1/2,z'
'-x+1/2,-y+1/2,-z'
'-x+1/2,y+1/2,-z'
'x+1/2,-y+1/2,z'
loop_
_atom_site_label
_atom_site_type_symbol
_atom_site_fract_x
_atom_site_fract_y
>>>
[Back to the piece]
It is worth noting that, in case the aircraft are flying on a differenct tracks converging at the same point, the impact of wind will be different and it is possible for an aircraft that is flying at a lower IAS or Mach number to have the same or even a higher groundspeed.
The impact of wind on aircraft flying different tracks. The A320 is flying at M0.78 (approximately 450 kt TAS) and the B773 is cruising at M0.83 (approximately 480 kt TAS). Due to the 60 kt west wind hoerver the ground speeds change in such a way that the B773 will not be able to overtake the B737 at the crossing point.
Climbing and descending aircraft
== Here the text breaks off for calculated crystals ==
Record 1
For ErSnRu2, a PBE-relaxed structure gives the theoretical powder XRD pattern in this record (λ = 1.5418 Å (Cu Kα)).
Peak positions follow from Bragg's law for the DFT cell and can differ from measured ones.

Peak list (6 most intense, 2θ from 10° to 90°, in order of rising 2θ)
23.4 deg, I = 2
27.1 deg, I = 3
38.7 deg, I = 100
55.8 deg, I = 17
70.0 deg, I = 35
83.0 deg, I = 11

Atomic structure:
```
ErSnRu2
1.0
6.585 0.000 0.000
0.000 6.585 0.000
0.000 0.000 6.585
Er Sn Ru
4 4 8
direct
0.000 0.000 0.000
0.000 0.500 0.500
0.500 0.000 0.500
0.500 0.500 0.000
0.000 0.000 0.500
0.000 0.500 0.000
0.500 0.000 0.000
0.500 0.500 0.500
0.250 0.250 0.250
0.250 0.250 0.750
0.250 0.750 0.250
0.250 0.750 0.750
0.750 0.250 0.250
0.750 0.250 0.750
0.750 0.750 0.250
0.750 0.750 0.750
```

Record 2
For HgS4, a PBE-relaxed structure gives the theoretical powder XRD pattern in this record (λ = 1.5418 Å (Cu Kα)).
Peak positions follow from Bragg's law for the DFT cell and can differ from measured ones.

Peak list (6 most intense, 2θ from 10° to 90°, in order of rising 2θ)
11.7 deg, I = 26
13.4 deg, I = 100
18.5 deg, I = 29
19.5 deg, I = 80
26.6 deg, I = 25
28.4 deg, I = 24

Atomic structure:
```
HgS4
1.0
12.173 0.000 0.000
0.000 9.689 0.000
0.000 0.000 13.193
Hg S
4 16
direct
0.094 0.105 0.250
0.094 0.395 0.750
0.906 0.605 0.250
0.906 0.895 0.750
0.373 0.130 0.130
0.373 0.130 0.370
0.373 0.370 0.630
0.373 0.370 0.870
0.476 0.618 0.169
0.476 0.618 0.331
0.476 0.882 0.669
0.476 0.882 0.831
0.524 0.118 0.169
0.524 0.118 0.331
0.524 0.382 0.669
0.524 0.382 0.831
0.627 0.630 0.130
0.627 0.630 0.370
0.627 0.870 0.630
0.627 0.870 0.870
```

Record 3
For Be3Co, a PBE-relaxed structure gives the theoretical powder XRD pattern in this record (λ = 1.5418 Å (Cu Kα)).
Peak positions follow from Bragg's law for the DFT cell and can differ from measured ones.

Peak list (6 most intense, 2θ from 10° to 90°, in order of rising 2θ)
22.3 deg, I = 46
33.4 deg, I = 100
39.2 deg, I = 42
52.4 deg, I = 52
65.5 deg, I = 16
67.4 deg, I = 22

Atomic structure:
```
Be3Co
1.0
4.595 0.000 0.000
-2.297 3.979 0.000
0.000 0.000 3.631
Be Co
6 2
direct
0.166 0.332 0.250
0.166 0.834 0.250
0.332 0.166 0.750
0.668 0.834 0.250
0.834 0.166 0.750
0.834 0.668 0.750
0.333 0.667 0.750
0.667 0.333 0.250
```

Record 4
For Rb3NpO9, a PBE-relaxed structure gives the theoretical powder XRD pattern in this record (λ = 1.5418 Å (Cu Kα)).
Peak positions follow from Bragg's law for the DFT cell and can differ from measured ones.

Peak list (6 most intense, 2θ from 10° to 90°, in order of rising 2θ)
15.1 deg, I = 100
17.0 deg, I = 47
22.1 deg, I = 46
25.9 deg, I = 56
27.4 deg, I = 83
28.6 deg, I = 70

Atomic structure:
```
Rb3NpO9
1.0
5.948 -5.531 0.000
5.948 5.531 0.000
-1.264 0.000 7.533
Rb Np O
6 2 18
direct
0.034 0.966 0.750
0.228 0.424 0.567
0.424 0.228 0.067
0.576 0.772 0.933
0.772 0.576 0.433
0.966 0.034 0.250
0.000 0.500 0.000
0.500 0.000 0.500
0.024 0.398 0.211
0.116 0.316 0.885
0.192 0.739 0.456
The impact of wind on the groundspeed needs to be taken into account to a greater extent when sequencing climbing or descending aircraft.
These materials data were left in the entry by mistake:
=====
The following is a theoretical XRD peak list of ThZnGa2Pd. It was derived from a structure optimized by DFT (PBE), using Cu Kα (λ = 1.5418 Å).
Intensities are scaled so that the largest is 100.

Crystal structure
a b c (Å): 6.0566 6.0566 6.0566
angles (deg): 138.59 138.59 60.00
Element x y z (fractional)
Th 0.0000 0.0000 0.0000
Zn 0.2500 0.7500 0.5000
Ga 0.3823 0.3823 0.0000
Ga 0.6177 0.6177 0.0000
Pd 0.7500 0.2500 0.5000

Largest 10 diffraction maxima, sorted by position, 10° ≤ 2θ ≤ 80°:
2θ 22.42, d 3.965, intensity 21
2θ 29.49, d 3.028, intensity 14
2θ 33.07, d 2.709, intensity 57
2θ 34.19, d 2.623, intensity 100
2θ 42.20, d 2.141, intensity 44
2θ 48.30, d 1.884, intensity 31
2θ 54.63, d 1.680, intensity 28
2θ 61.21, d 1.514, intensity 28
2θ 66.05, d 1.415, intensity 23
2θ 72.01, d 1.311, intensity 29

=====

The following is a theoretical XRD peak list of Ti2Ga3Pd. It was derived from a structure optimized by DFT (PBE), using Cu Kα (λ = 1.5418 Å).
Intensities are scaled so that the largest is 100.

Crystal structure
a b c (Å): 5.0267 5.0267 8.7277
angles (deg): 90.00 90.00 61.47
Element x y z (fractional)
Ti 0.0136 0.3152 0.2500
Ti 0.3152 0.0136 0.7500
Ti 0.6848 0.9864 0.2500
Ti 0.9864 0.6848 0.7500
Ga 0.0000 0.0000 0.0000
Ga 0.0000 0.0000 0.5000
Ga 0.3362 0.3362 0.0000
Ga 0.3362 0.3362 0.5000
Ga 0.6638 0.6638 0.0000
Ga 0.6638 0.6638 0.5000
Pd 0.3639 0.6361 0.2500
Pd 0.6361 0.3639 0.7500

Largest 10 diffraction maxima, sorted by position, 10° ≤ 2θ ≤ 80°:
2θ 34.92, d 2.569, intensity 8
2θ 36.46, d 2.465, intensity 17
2θ 37.24, d 2.414, intensity 21
2θ 40.76, d 2.214, intensity 23
2θ 41.45, d 2.179, intensity 100
2θ 47.20, d 1.926, intensity 8
2θ 47.83, d 1.902, intensity 10
2θ 63.16, d 1.472, intensity 13
=====
So much for the materials data:
For example, when two aircraft are descending to the same point one flying behind the other, it is normal to have the first one at a lower level. As a result, the higher aircraft behind will tend to fly at a faster groundspeed. The situation would be further aggravated in the tailwind case where it may not be possible to assign such speeds that would maintain or increase the separation between the successive aircraft. Depending on the circumstances, it is even possible for the higher aircraft to overtake the lower one which would not be the desired outcome.
The opposite may happen if two aircraft are climbing shortly after departure requesting the same cruising level. In such a situation the thing to expect would be that the first (and higher) aircraft would have higher groundspeed, thus separation would increase "by itself". In case of headwinds (increasing with altitude), however, it is possible that groundspeed difference (and consequently, separation) remains the same.
Despite the use of speed control (REK078 is assigned 250 kt and EKR040 is assigned 290 kt IAS) the second aircraft is slightly faster than the first in terms of groundspeed. The distance between them is not increased despite the 40 kt IAS difference. Transfering the two aircraft at the same level may not be in line with the procedures in the letter of agreement with the next unit (presumably an approach control unit). Note that a wind from the west, increasing with altitude, would make the situation worse.
Groundspeed and vectoring
Speed control is not the only controller technique that is impacted by groundspeed. If wind is not properly taken into account, the effect of vectoring may be reduced or eliminated by the change (most often increase) of ground speed due to the new angle between the wind and the aircraft heading. If the aircraft is vectored (in order to achieve more spacing with the previous one) but in such a way that would lead to increase of groundspeed caused by the tailwind component, then (some of) the spacing gained with the new heading will be lost due to the increased speed. On the contrary, when vectoring an aircraft into the wind, a lesser change of the heading would suffice (compared to the "no wind" scenario).